**File:**
{"formula": "C3H6N2O", "method": "ωB97M-V with the def2-TZVPD basis set", "symbols": ["O", "N", "N", "C", "C", "C", "H", "H", "H", "H", "H", "H"], "xyz": [[0.72, -0.08, 1.54], [1.62, 0.11, -0.51], [-0.48, -0.52, 2.20], [-0.82, 0.19, -0.24], [-1.17, -0.21, -1.46], [0.53, 0.07, 0.29], [-2.17, -0.03, -1.85], [-1.52, 0.65, 0.45], [2.52, 0.12, -0.06], [-0.48, -0.76, -2.09], [-0.27, -0.14, 3.12], [1.52, 0.60, -1.39]], "mulliken_charge": [-0.24, -0.44, -0.68, -0.15, -0.75, 0.67, 0.26, 0.39, 0.25, 0.30, 0.16, 0.24], "lumo_energy_ev": [0.293, 0.292], "multiplicity": 1, "largest_force_ev_per_a": 0.68}


# 1
DFT (ωB97M-V/def2-TZVPD) results for a structure of composition C16H33N9O2Pd.

Geometry as XYZ:
```
61
Properties=species:S:1:pos:R:3:lowdin_charge:R:1
Pd -0.525 -0.585 0.415 1.001
O -1.978 2.045 -0.533 0.030
O -0.142 1.412 0.607 -0.127
N -0.895 -2.526 0.244 0.022
N -1.685 -0.554 2.059 0.041
N 2.555 -1.202 -2.441 -0.026
N -2.113 -2.839 2.220 0.174
N -1.531 4.554 -0.444 0.094
N -2.876 -1.419 3.874 -0.133
N 2.342 -1.740 -0.196 0.074
N 0.612 -0.653 -1.248 -0.097
N -1.878 -4.569 0.744 0.190
C 0.103 0.058 -2.419 -0.212
C 0.839 4.051 -0.453 -0.105
C -0.867 5.266 -1.594 -0.087
C 3.663 -2.351 -0.120 -0.160
C 2.020 -0.753 -3.727 -0.138
C -1.607 -3.277 1.017 -0.448
C 0.574 5.396 -1.134 -0.140
C 0.510 -0.666 -3.688 -0.148
C -0.484 3.713 0.250 -0.151
C 4.576 -1.664 -1.115 -0.149
C -2.206 -1.545 2.711 -0.382
C -3.235 -2.574 4.696 -0.019
C -0.936 2.254 0.088 -0.621
C 1.821 -1.182 -1.313 -0.363
C 3.926 -1.717 -2.481 -0.135
C -2.933 -0.101 4.500 -0.021
H 0.150 -0.143 -4.573 0.126
H -0.978 0.130 -2.330 0.105
H -2.572 -5.089 1.250 0.124
H -0.464 3.979 1.305 0.166
H -1.495 -5.002 -0.078 0.126
H 0.071 -1.666 -3.691 0.123
H -2.236 3.853 -0.751 0.154
H -3.843 -2.225 5.524 0.099
H -1.385 6.202 -1.789 0.137
H 2.351 -1.460 -4.489 0.133
H 4.479 -1.108 -3.197 0.132
H 3.606 -3.422 -0.334 0.125
H -3.652 -0.135 5.312 0.098
H 1.070 3.285 -1.195 0.118
H 4.737 -0.627 -0.815 0.127
H 1.807 -1.605 0.645 0.105
H -1.762 0.338 2.523 0.061
H -3.290 0.644 3.789 0.096
H -2.531 -3.553 2.791 0.122
H 5.545 -2.160 -1.151 0.128
H -3.862 -3.280 4.148 0.096
H -2.358 -3.082 5.101 0.109
H -1.963 0.202 4.902 0.109
H -1.966 5.216 0.194 0.186
H -0.632 -2.958 -0.632 0.090
H 0.676 6.221 -0.427 0.127
H 0.495 1.084 -2.437 0.114
H 3.917 -2.743 -2.864 0.136
H 4.029 -2.235 0.898 0.128
H -0.959 4.617 -2.464 0.141
H 2.457 0.220 -3.972 0.134
H 1.245 5.588 -1.968 0.129
H 1.662 4.085 0.255 0.131
```

Summary:
Electronic energy in eV: -38103.950
Kohn-Sham gap in eV: 9.2
Charge: +2
Molecular weight in g/mol: 489.9
Maximum force in eV/Å: 0.17
E_LUMO in eV: -4.407

---

# 2
DFT (ωB97M-V/def2-TZVPD) results for an isolated molecule of C3H8N2.

Geometry as XYZ:
```
13
Properties=species:S:1:pos:R:3:lowdin_charge:R:1
N 0.760 -0.563 1.100 -0.042
N 0.033 0.565 0.704 -0.136
C 0.278 -1.152 2.177 -0.053
C 0.285 0.918 -0.667 -0.293
C -0.396 0.044 -1.760 -0.101
H 0.063 2.028 -0.796 0.117
H 0.102 -0.956 -1.908 0.079
H 0.776 -2.089 2.322 0.044
H -0.884 0.579 1.105 0.100
H -0.630 -0.792 2.624 0.052
H -0.327 0.620 -2.665 0.045
H 1.416 0.937 -0.663 0.118
H -1.476 -0.139 -1.572 0.071
```

Summary:
Electronic energy in eV: -6218.991
Kohn-Sham gap in eV: 9.6
Molecular weight in g/mol: 72.1
Maximum force in eV/Å: 4.00
Structure (SMILES): C=NNCC
E_LUMO in eV: 1.189

---

# 3
DFT (ωB97M-V/def2-TZVPD) results for a cluster of 2 separate species, C9H19B in total.

Geometry as XYZ:
```
29
Properties=species:S:1:pos:R:3:lowdin_charge:R:1
C 1.138 -1.533 2.324 -0.111
C 1.165 0.794 -1.765 -0.116
C 2.833 0.343 -0.008 -0.059
C -2.558 -1.495 -2.217 -0.116
C 0.403 -0.113 0.293 0.060
C 0.441 0.834 2.569 -0.083
C 1.412 0.332 -0.407 -0.461
C -3.011 1.146 -1.540 -0.102
C 0.248 -0.484 1.801 -0.445
B -2.115 -0.142 -1.427 -0.064
H 0.865 1.554 1.882 0.066
H 3.198 1.263 0.496 0.092
H 0.667 -1.927 3.211 0.076
H -0.913 -0.734 1.965 0.151
H 1.807 0.288 -2.560 0.097
H 0.109 0.681 -2.013 0.017
H 1.417 1.946 -1.838 0.123
H 3.538 0.329 -0.967 0.125

**What to do:**
What is needed: copy everything further above character by character.

**Outcome:**
{"formula": "C3H6N2O", "method": "ωB97M-V with the def2-TZVPD basis set", "symbols": ["O", "N", "N", "C", "C", "C", "H", "H", "H", "H", "H", "H"], "xyz": [[0.72, -0.08, 1.54], [1.62, 0.11, -0.51], [-0.48, -0.52, 2.20], [-0.82, 0.19, -0.24], [-1.17, -0.21, -1.46], [0.53, 0.07, 0.29], [-2.17, -0.03, -1.85], [-1.52, 0.65, 0.45], [2.52, 0.12, -0.06], [-0.48, -0.76, -2.09], [-0.27, -0.14, 3.12], [1.52, 0.60, -1.39]], "mulliken_charge": [-0.24, -0.44, -0.68, -0.15, -0.75, 0.67, 0.26, 0.39, 0.25, 0.30, 0.16, 0.24], "lumo_energy_ev": [0.293, 0.292], "multiplicity": 1, "largest_force_ev_per_a": 0.68}


# 1
DFT (ωB97M-V/def2-TZVPD) results for a structure of composition C16H33N9O2Pd.

Geometry as XYZ:
```
61
Properties=species:S:1:pos:R:3:lowdin_charge:R:1
Pd -0.525 -0.585 0.415 1.001
O -1.978 2.045 -0.533 0.030
O -0.142 1.412 0.607 -0.127
N -0.895 -2.526 0.244 0.022
N -1.685 -0.554 2.059 0.041
N 2.555 -1.202 -2.441 -0.026
N -2.113 -2.839 2.220 0.174
N -1.531 4.554 -0.444 0.094
N -2.876 -1.419 3.874 -0.133
N 2.342 -1.740 -0.196 0.074
N 0.612 -0.653 -1.248 -0.097
N -1.878 -4.569 0.744 0.190
C 0.103 0.058 -2.419 -0.212
C 0.839 4.051 -0.453 -0.105
C -0.867 5.266 -1.594 -0.087
C 3.663 -2.351 -0.120 -0.160
C 2.020 -0.753 -3.727 -0.138
C -1.607 -3.277 1.017 -0.448
C 0.574 5.396 -1.134 -0.140
C 0.510 -0.666 -3.688 -0.148
C -0.484 3.713 0.250 -0.151
C 4.576 -1.664 -1.115 -0.149
C -2.206 -1.545 2.711 -0.382
C -3.235 -2.574 4.696 -0.019
C -0.936 2.254 0.088 -0.621
C 1.821 -1.182 -1.313 -0.363
C 3.926 -1.717 -2.481 -0.135
C -2.933 -0.101 4.500 -0.021
H 0.150 -0.143 -4.573 0.126
H -0.978 0.130 -2.330 0.105
H -2.572 -5.089 1.250 0.124
H -0.464 3.979 1.305 0.166
H -1.495 -5.002 -0.078 0.126
H 0.071 -1.666 -3.691 0.123
H -2.236 3.853 -0.751 0.154
H -3.843 -2.225 5.524 0.099
H -1.385 6.202 -1.789 0.137
H 2.351 -1.460 -4.489 0.133
H 4.479 -1.108 -3.197 0.132
H 3.606 -3.422 -0.334 0.125
H -3.652 -0.135 5.312 0.098
H 1.070 3.285 -1.195 0.118
H 4.737 -0.627 -0.815 0.127
H 1.807 -1.605 0.645 0.105
H -1.762 0.338 2.523 0.061
H -3.290 0.644 3.789 0.096
H -2.531 -3.553 2.791 0.122
H 5.545 -2.160 -1.151 0.128
H -3.862 -3.280 4.148 0.096
H -2.358 -3.082 5.101 0.109
H -1.963 0.202 4.902 0.109
H -1.966 5.216 0.194 0.186
H -0.632 -2.958 -0.632 0.090
H 0.676 6.221 -0.427 0.127
H 0.495 1.084 -2.437 0.114
H 3.917 -2.743 -2.864 0.136
H 4.029 -2.235 0.898 0.128
H -0.959 4.617 -2.464 0.141
H 2.457 0.220 -3.972 0.134
H 1.245 5.588 -1.968 0.129
H 1.662 4.085 0.255 0.131
```

Summary:
Electronic energy in eV: -38103.950
Kohn-Sham gap in eV: 9.2
Charge: +2
Molecular weight in g/mol: 489.9
Maximum force in eV/Å: 0.17
E_LUMO in eV: -4.407

---

# 2
DFT (ωB97M-V/def2-TZVPD) results for an isolated molecule of C3H8N2.

Geometry as XYZ:
```
13
Properties=species:S:1:pos:R:3:lowdin_charge:R:1
N 0.760 -0.563 1.100 -0.042
N 0.033 0.565 0.704 -0.136
C 0.278 -1.152 2.177 -0.053
C 0.285 0.918 -0.667 -0.293
C -0.396 0.044 -1.760 -0.101
H 0.063 2.028 -0.796 0.117
H 0.102 -0.956 -1.908 0.079
H 0.776 -2.089 2.322 0.044
H -0.884 0.579 1.105 0.100
H -0.630 -0.792 2.624 0.052
H -0.327 0.620 -2.665 0.045
H 1.416 0.937 -0.663 0.118
H -1.476 -0.139 -1.572 0.071
```

Summary:
Electronic energy in eV: -6218.991
Kohn-Sham gap in eV: 9.6
Molecular weight in g/mol: 72.1
Maximum force in eV/Å: 4.00
Structure (SMILES): C=NNCC
E_LUMO in eV: 1.189

---

# 3
DFT (ωB97M-V/def2-TZVPD) results for a cluster of 2 separate species, C9H19B in total.

Geometry as XYZ:
```
29
Properties=species:S:1:pos:R:3:lowdin_charge:R:1
C 1.138 -1.533 2.324 -0.111
C 1.165 0.794 -1.765 -0.116
C 2.833 0.343 -0.008 -0.059
C -2.558 -1.495 -2.217 -0.116
C 0.403 -0.113 0.293 0.060
C 0.441 0.834 2.569 -0.083
C 1.412 0.332 -0.407 -0.461
C -3.011 1.146 -1.540 -0.102
C 0.248 -0.484 1.801 -0.445
B -2.115 -0.142 -1.427 -0.064
H 0.865 1.554 1.882 0.066
H 3.198 1.263 0.496 0.092
H 0.667 -1.927 3.211 0.076
H -0.913 -0.734 1.965 0.151
H 1.807 0.288 -2.560 0.097
H 0.109 0.681 -2.013 0.017
H 1.417 1.946 -1.838 0.123
H 3.538 0.329 -0.967 0.125